Spotify – Mobile News | Mobile Inquirer Smartphone, Tablet and Technology News and Reviews Tue, 15 Nov 2011 13:41:54 +0000 en-US hourly 1 iTunes Match Explained And Goes Live In The US Tue, 15 Nov 2011 13:41:54 +0000 iTunes match arrives in America:

Apple’s much anticipated spotify rival has finally arrived two weeks after its scheduled date for US subscriber sot enjoy.

Unfortunately for UK music lovers it seems that Apple are no closer to a date for launch but it is likely to be fairly soon once legal agreements have been sorted between publisher and owners of content.

What is iTunes match?

With MP3’s being a pretty poor approximation of a high quality CD music track, progress was always going to move toward bringing the high fidelity of a CD to the compressed version that we all love due to its very small size.

What iTunes match will do is take your existing (and sometimes dubious) record collection and then do two things:


  • 1 – Replace all your tracks with a cloud based high quality track to stream at your leisure from the iTunes cloud.
  • 2 – Legitimise the tracks that you may or may not have bought through iTunes or from your own CD’s.


How can you stream your content?

Apple iTunes Match
Apple iTunes Match

The iTunes match service will run on your iPhone, iPad, iPod touch, Apple TV, Mac and PC devices, so you will be able to stream or download the tracks in your collection without having to manually sync to iTunes.

iTunes match cost?

**Here the piece breaks off for records of molecules:**
........
(1)
This record from the OMol25 dataset describes a structure of composition C22H34InO36S8 at a distorted geometry. The level of theory is ωB97M-V/def2-TZVPD.

Geometry as XYZ:
```
101
Properties=species:S:1:pos:R:3:forces:R:3:lowdin_charge:R:1
S 10.374 15.812 6.161 0.6 1.9 2.4 0.653
C 9.825 17.671 7.840 -1.8 0.6 0.3 -0.151
C -1.335 15.508 3.021 -0.8 0.4 -0.3 -0.173
H 10.378 19.503 2.114 -0.2 -0.6 -0.4 0.138
S 0.617 13.940 2.609 -0.3 0.6 -0.5 0.673
H 10.744 18.293 3.429 0.2 0.1 -0.2 0.125
S 10.893 14.533 -3.510 -0.2 -0.9 1.0 0.668
O 1.455 13.281 3.582 -1.1 1.1 -0.6 -0.281
H 4.684 16.886 2.788 0.0 -0.6 0.2 0.110
O 3.509 10.424 -1.223 0.9 -1.7 -0.1 -0.172
O 6.583 16.092 0.103 1.5 -0.3 0.8 0.169
C 6.671 15.309 1.054 -1.2 1.4 -2.5 -0.308
In 4.071 11.474 4.930 0.0 0.6 -0.2 1.135
H -1.576 13.913 4.368 -0.8 -0.1 0.1 0.140
C 5.298 13.784 2.517 1.1 -0.8 -0.7 -0.312
O 4.366 18.168 -0.879 0.2 1.5 0.6 -0.188
O 1.128 14.056 1.261 -0.6 -0.2 1.4 -0.249
H 9.346 18.640 7.688 0.5 0.2 -0.4 0.134
O 4.995 11.509 0.227 0.0 -0.9 -0.1 -0.212
C 4.507 17.341 3.766 -0.5 1.0 -0.3 -0.141
C 4.343 12.449 -0.612 -0.6 2.6 0.9 -0.204
H 2.864 16.867 -1.534 0.1 0.6 -0.3 0.141
O 9.335 14.090 -3.397 0.4 0.2 -1.4 -0.191
O 11.580 16.814 6.574 0.2 -0.5 -1.8 -0.207
H 2.671 12.091 -2.080 0.0 0.0 0.3 0.144
H 4.485 14.888 0.923 0.3 0.4 -0.5 0.124
O 4.271 13.190 2.739 -0.7 -0.1 0.3 -0.002
H 3.606 16.529 -0.029 -0.3 0.1 0.4 0.094
H 8.265 15.174 -2.040 0.1 0.0 0.1 0.120
S 12.716 11.392 1.029 1.5 0.9 -0.6 0.644
H 4.376 11.797 -2.576 -0.5 -0.7 -0.4 0.131
S 8.654 20.935 3.872 0.1 0.1 -1.0 0.639
O 2.892 19.211 0.767 1.4 0.0 0.5 -0.204
O 13.438 12.869 1.109 0.4 -0.9 -1.6 -0.183
O 8.720 21.854 2.765 -0.2 -1.1 1.1 -0.219
O 13.667 10.346 1.206 -0.6 0.7 0.1 -0.200
O 3.737 14.369 5.439 -0.6 0.7 -0.3 -0.335
C 8.823 14.234 -2.092 -0.2 0.9 0.2 -0.173
C 7.876 14.942 1.839 2.0 1.2 -0.2 -0.315
O 5.411 19.550 1.001 -0.9 -0.5 -0.3 -0.221
O 11.890 11.398 -0.137 -0.1 0.1 1.0 -0.217
O 11.584 13.732 -4.455 -0.6 0.0 0.5 -0.194
O 2.501 16.419 4.479 0.1 -1.7 0.8 -0.210
O 10.326 15.726 4.734 -0.5 0.4 0.4 -0.252
C 3.641 11.723 -1.769 1.4 0.6 0.5 -0.150
C 10.051 19.033 3.039 -0.1 0.8 0.6 -0.121
S 3.536 15.784 5.560 0.6 2.0 0.4 0.677
O 4.736 9.014 0.456 -0.3 0.5 -0.3 -0.195
C 5.449 14.695 1.376 -0.9 -1.8 2.9 0.198
H 1.535 18.680 -0.672 0.0 0.1 0.0 0.136
O 9.260 16.835 6.815 0.5 -1.5 -1.6 -0.215
O 8.253 21.385 5.162 0.2 -0.4 -0.5 -0.221
C 2.178 18.200 0.070 -0.1 0.1 -1.4 -0.170
O 4.179 20.630 -0.868 0.2 -0.7 0.9 -0.201
H -1.680 16.229 3.760 0.2 -0.1 0.1 0.143
H 3.699 13.057 0.038 -0.7 -0.8 0.0 0.102
O 6.376 12.943 4.461 0.0 -0.7 -0.3 0.009
O 10.420 14.602 6.922 -0.1 0.6 -0.5 -0.216
C 3.024 17.660 3.983 0.2 0.5 1.0 -0.124
H -2.814 13.882 3.019 0.1 -0.2 -0.1 0.147
C 7.759 14.079 2.951 -0.5 -0.8 0.5 0.246
H 5.155 18.214 3.812 -0.1 0.1 0.1 0.136
H 8.678 13.938 3.510 0.0 -0.2 0.1 0.144
S 4.924 10.041 -0.503 0.5 1.3 -0.6 0.679
H 9.375 17.350 8.781 0.6 -0.4 0.2 0.134
H 2.927 18.397 4.786 0.1 0.0 0.0 0.142
........

Coming in at $24.99 for a full year the service seems quite reasonably priced especially if you have literally tens of thousands of tracks. For this you will get your entire collection offered to you via a 256-Kbps AAC DRM-free format with vastly improved quality over compressed MP3’s

In the process your music collection will also be “legitimised” even if you perhaps were not the true owner all along, this no doubt is why the UK music industry is taking so long to agree to terms.

If your track can not be found in the 20 million library at iTunes, then the technology will simply upload your existing track and use that.

It is not fair to compare the service to spotify as the iTunes service means you have to actually own the music in the first place, and is about quality not quantity, but it is reasonably priced and for what it offers (easy access to your tunes in a much more improved quality) it seems to be quite a fair price.

Google music beset by slow uploads:

With Google offering something close to iTunes match we wonder if Apple will ensure that speeds are better when uploading tracks than the poorly received Google music technology which is currently free and in Beta.

Anthony Munns]]> 1
Deezer Music Service UK Launch Thu, 01 Sep 2011 17:40:06 +0000 Popular French music streaming service to launch in UK in September and rival Spotify and Last FM:

With around 20 million users in France alone, Deezer has finally decided to take its technology over the water based channel and into a brand new audience audio channel.

It is easy to forget that non English speaking countries have some fantastic competing software, and technology for social networking and in Deezer’s case listening to music. So it is a welcome sight to see a non US and UK based service being released on the back of strong foreign domestic support.

The Parisian music streaming service called Deezer is set to launch in the UK in September, with premium packages starting at £4.99 a month.

Deezer pricing:

The basic “Discovery mode” is completely free as a service and allows users to listen to on-demand music with 30 second clips and full radio stations of their choice on Deezer for free…very much like LastFM.

Premium packages are an option and include:

“Premium” which costs £4.99 per month and will offer unlimited streaming on PC and Mac with enhanced sound quality.

And a more upmarket version called “Premium +” which adds mobile streaming and offline playback for £9.99 a month.

Deezer functionality:

Deezer UK Launch
Deezer UK Launch

Deezer will be available on PC and Mac, as well as smartphones, mobile phones, tablets, IP TVs and clever sound systems such as the Logitech Squeezebox and Sonos.

A slightly more unique service is something that the team at Deezer call “disc-overy” which is a human edited recommendation tool providing editorial content and suggestions to its users based on their habits and likes.

== Attached: molecular data ==
[1]
ORCA calculation (ωB97M-V/def2-TZVPD) on a molecular structure, C39H37ClF4N6O7S2Ti at a distorted geometry.

Atoms and positions in Å:
Ti1 0.49202 -0.06930 0.16012
C1 -3.69537 -1.30096 -1.36073
N1 -3.01786 -0.01769 -1.42230
C2 -3.99228 1.05812 -1.35673
C3 -2.14680 0.09402 -2.57887
C4 -0.86704 0.96694 -2.35649
N2 -0.52796 1.23813 -0.94725
C5 -1.06889 2.37962 -0.37921
C6 -1.21899 2.42377 1.00858
F1 -0.78253 1.34833 1.69756
C7 -1.72657 3.47458 1.72636
F2 -1.79944 3.37392 3.05625
C8 -2.14188 4.62212 1.08877
C9 -1.98354 4.64346 -0.27902
F3 -2.33622 5.73997 -0.96300
C10 -1.45546 3.58548 -0.99517
F4 -1.30106 3.80326 -2.31527
H1 -4.39407 -1.45007 -2.20102
H2 -4.26165 -1.36491 -0.42946
H3 -2.96312 -2.10906 -1.36572
H4 -4.74219 0.98104 -2.16287
H5 -3.50614 2.02851 -1.44726
H6 -4.50786 1.02682 -0.39472
H7 -2.69487 0.51234 -3.43823
H8 -1.83194 -0.90510 -2.86234
H9 -0.99474 1.88803 -2.90181
H10 -0.02257 0.46494 -2.81799
H11 -2.56819 5.45899 1.62382
S1 0.18650 -2.23728 -1.64255
C11 1.51960 -1.33570 -2.07642
N3 1.92678 -0.27947 -1.37266
C12 3.07592 0.31201 -1.93576
C13 3.81942 1.38857 -1.45802
C14 4.93404 1.82034 -2.15916
C15 5.34115 1.19354 -3.33334
C16 4.63406 0.10331 -3.80938
C17 3.52023 -0.32571 -3.10302
S2 2.49665 -1.68247 -3.47424
H12 3.53870 1.87580 -0.54241
H13 5.49674 2.66405 -1.77664
H14 6.21307 1.54880 -3.86912
H15 4.93861 -0.41225 -4.71298
C18 5.81387 -0.20121 1.63828
O1 4.72786 -0.82491 2.30179
C19 4.98208 -1.91452 3.07994
C20 6.25338 -2.41864 3.31479
C21 6.43580 -3.55031 4.10241
C22 5.33858 -4.18415 4.65320
C23 4.06771 -3.67747 4.42345
C24 3.86547 -2.54381 3.64714
N4 2.53726 -2.10247 3.47076
C25 2.12165 -1.11117 2.56830
N5 2.12048 0.11066 3.09172
C26 2.11005 1.31942 2.38754
C27 1.65112 1.44470 1.08156
C28 1.72070 2.74042 0.53241
C29 2.19658 3.82178 1.23949
C30 2.63555 3.67001 2.55404
C31 2.60242 2.41524 3.12022
O2 3.00996 2.12531 4.38634
C32 3.57759 3.17976 5.14138
N6 1.74567 -1.37426 1.34866
C33 2.11094 -2.69317 0.88621
C34 3.24325 -2.80981 0.09725
C35 3.62144 -4.03057 -0.44259
C36 2.85354 -5.15062 -0.18163
C37 1.74603 -5.06202 0.65337
C38 1.39143 -3.84328 1.21540
O3 0.37471 -3.68205 2.09624
C39 -0.41958 -4.81719 2.41476
H16 5.38597 0.62213 1.07373
H17 6.30930 -0.89262 0.95079
H18 6.54629 0.18711 2.35078
H19 7.11447 -1.93987 2.87248
H20 7.43500 -3.92777 4.27650
H21 5.46168 -5.07314 5.25800
H22 3.19889 -4.16649 4.85354
H23 1.85202 -2.84283 3.52818
H24 2.41158 0.16666 4.05335
H25 1.40842 2.90302 -0.48939
H26 2.20868 4.80407 0.78131
H27 3.00008 4.52424 3.10832
H28 3.89958 2.74214 6.08067
H29 2.84424 3.96374 5.34018
H30 4.43860 3.61124 4.62679
H31 3.81967 -1.91270 -0.09790
H32 4.50306 -4.09705 -1.06836
H33 3.11710 -6.10746 -0.61546
H34 1.16189 -5.94752 0.85981
H35 -1.13191 -4.48019 3.15968
H36 0.19668 -5.62382 2.81783
H37 -0.96513 -5.16958 1.53808
O4 -0.88477 -0.97466 3.12401
Cl1 -1.78145 -1.24925 2.04406
O5 -2.82998 -0.29539 1.94130
O6 -2.30095 -2.57173 2.09139
O7 -0.95394 -1.16225 0.76871

Output

Mark Foster, managing director of Deezer UK, said:

“We’re extremely excited to be launching Deezer here in the UK. With easy access everywhere music fans will be able to enjoy music anywhere they like, at any time, and be able to share their music with their friends, easily and legally.”

Being a hybrid between spotify and sounds great but we have heard that they have a tendency to play rather a little too much French rap which if you like is this genre is not a bad thing but it is a bit early 2000’s for my ears!

Too late or the masses?

Anthony Munns]]> 0
Spotify To Arrive In The US Tomorrow At Last Thu, 14 Jul 2011 18:23:00 +0000 Following on from an earlier report when we promised that spotify was close to coming to US shores, news in, is that the music service is finally arriving tomorrow at 8AM ET.

Limited Beta initially:

The service will initially be open to a few invites on a beta release to iron out potential issues if you want an invite go to this link here:

Pre-registering seems the best option and the one to bring you the quickest results in getting a working account.

Once you are accepted and things are working as they should, you will be able to access 15 million songs, these will all be totally free with advertisements making up the revenue on the basic accounts, subscription services will start at $5 a month with no ads, and a $10 a month option will include streaming to mobile and slightly higher quality audio by virtue of larger bit rates being offered while streaming the audio files.

Native spotify application is fantastic

Users in the US will no doubt be unaware in the main that the fantastic native application for Mac and Windows is a seriously well designed bit of kit and users will no doubt enjoy the experience of getting knee deep in the beats with their new found toy!


Let us know what you think when your in, we are sure you will love it!

Anthony Munns]]> 0
US Spotify Release Looks Likely To Cost Less Than European Equivalent Fri, 08 Jul 2011 14:33:31 +0000 In a report we brought you a few days back on the likely release of a much waited US version of Spotify, the European music sharing application, news just in is that Spotify is ready for release and it looks like it could cost a lot less money per month compared to UK and European users.

Techcrunch are reporting that the unlimited spotify plan will cost around $4.99 a month.

Spotify US version will cost more then the European equivalent?

Whereas the premium service will cost $9.99 a month; this will allow access to mobile music (using your smart phone or tablet to access spotify via an application) plus off-line access or through a music system such as Spotify’s brother in beats, Sonos.

Is this fair?

Well lets do some calculations:

Misplaced records of molecules.
<<<
No. 1
# C26H34BaN3O4P2

A structure of composition C26H34BaN3O4P2 (wB97M-V/def2-TZVPD, the Open Molecules 2025 dataset).

Geometry as XYZ:
```
70
Properties=species:S:1:pos:R:3:mulliken_charge:R:1
Ba 0.35 1.52 -0.02 1.80
P 2.41 -0.78 0.36 0.85
C 2.31 -0.66 -1.50 -0.85
C 1.03 -1.21 -2.15 0.43
N -0.16 -0.72 -1.72 0.56
C -1.30 -1.22 -2.23 0.07
C -1.28 -2.19 -3.24 -0.75
C -0.07 -2.66 -3.73 -0.55
C 1.11 -2.17 -3.17 -0.80
C -2.66 -0.76 -1.71 -0.94
P -2.61 0.79 -0.70 0.18
H 2.09 -2.50 -3.49 0.44
H -2.24 -2.54 -3.61 0.47
H -0.03 -3.42 -4.51 0.43
H -3.38 -0.61 -2.53 0.51
H -3.07 -1.53 -1.04 0.45
H 2.42 0.44 -1.79 0.02
H 3.19 -1.18 -1.89 0.44
H 1.40 3.61 -1.80 0.27
O 1.71 2.70 -2.02 -0.53
H 2.24 2.77 -2.83 0.23
H 0.20 4.23 0.56 0.39
O 0.14 4.22 -0.43 -0.62
H -0.68 4.70 -0.65 0.28
C -2.75 2.01 -2.07 -1.22
H -3.72 1.89 -2.58 0.41
H -2.68 3.04 -1.67 0.33
H -1.93 1.87 -2.80 0.33
C -4.27 0.87 0.04 -1.29
H -4.27 1.69 0.77 0.38
H -5.06 1.05 -0.70 0.41
H -4.48 -0.06 0.60 0.39
C 2.09 -2.54 0.67 -1.19
H 3.03 -3.09 0.75 0.43
H 1.54 -2.61 1.63 0.25
H 1.46 -2.98 -0.11 0.37
C 4.19 -0.65 0.72 -1.51
H 4.28 -0.41 1.79 0.38
H 4.72 -1.59 0.52 0.41
H 4.65 0.18 0.17 0.35
O 0.08 2.98 2.25 -0.87
C -0.03 1.93 2.95 0.20
N -0.13 1.88 4.32 0.21
C -0.07 0.53 4.82 2.82
C -0.06 -0.25 3.49 -0.91
O -0.04 -1.49 3.38 -0.72
N -0.05 0.65 2.46 -0.01
C 1.21 0.35 5.63 -0.82
C 2.20 -0.57 5.26 -0.12
C 3.37 -0.69 6.02 -0.92
C 3.56 0.11 7.15 -0.41
C 2.56 1.02 7.53 -0.91
C 1.39 1.14 6.77 0.10
C -1.33 0.18 5.59 -0.50
C -1.30 -0.59 6.75 -0.17
C -2.48 -0.91 7.41 -0.86
C -3.71 -0.47 6.91 -0.46
C -3.74 0.28 5.73 -0.78
C -2.56 0.61 5.07 -0.27
H -0.06 2.72 4.88 0.25
H 2.03 -1.21 4.40 0.61
H 4.12 -1.40 5.69 0.42
H 4.48 0.03 7.72 0.39
H 2.69 1.65 8.41 0.39
H 0.61 1.84 7.08 0.36
H -0.33 -0.94 7.12 0.45
H -2.43 -1.50 8.33 0.40
H -4.64 -0.72 7.44 0.39
H -4.69 0.62 5.31 0.39
H -2.58 1.20 4.16 0.33
```

The LUMO energy (alpha / beta) comes out at -2.6 / -2.6 eV. Its energy relative to the best compared isomer or geometry (same formula, charge and spin) is 0.00 kJ/mol. For the frontier orbital gap (alpha / beta), the calculation gives 8.07 / 8.09 eV. The total energy is -2184.5681 Ha. For the largest force on an atom, the calculation gives 0.03743 Eh/bohr. The value obtained for the highest occupied orbital energy (alpha / beta) is -10.7 / -10.7 eV. The charge is +1.


No. 2
# CH5BrN3

A cluster of 2 separate species, CH5BrN3 in total (wB97M-V/def2-TZVPD, the Open Molecules 2025 dataset).

Geometry as XYZ:
```
10
Properties=species:S:1:pos:R:3:mulliken_charge:R:1
C 1.33 -0.72 0.47 0.34
N 1.05 0.44 0.19 -0.39
N 1.43 -1.86 0.66 -0.08
N -1.33 0.74 -0.72 -0.82
Br -2.33 0.07 0.82 0.09
H 1.48 1.31 0.72 0.33
H 0.10 0.72 -0.28 0.48
H 1.75 -2.79 0.53 0.34
H -1.68 1.69 -0.73 0.36
H -1.80 0.40 -1.65 0.36
```
>>>
Here the piece continues.

US version

Unlimited Plan:

$4.99 = £3.13

Premium Plan:

$9.99 = £6.26

UK version

Unlimited Plan:

£4.99 – (an extra £22 a year)

Premium Plan:

£9.99 – (an extra £45 a year)

While nit-picking about small fractions of prices seems a bit crass, the truth is the Premium plan difference compared to the US is 1/12 of an average UK smartphone contract per year….i.e one months bill.

The McIndex replaced by the Spotify Screw:

We all know the US is seriously in a mess so could the much vaunted “McIndex” now be replaced by the “Spotify Screwing”?

Yes, it would appear that Spotify’s accounts team could know a little more than we do about the expendable income of your “average Joe”, and have priced accordingly.

Facebook Collaboration?

With news that Facebook have something “BIG” up their sleeves, many listening closely to the technological grapevine belied that a collaboration is in place and the final deals have yet to be sorted, causing the slight delay in the release of an official US Spotify.

Will the prices be as quoted above?

Spotify says:

“No details are set for the pricing or details of our US service yet – we’re still testing a number of different options. We’ll be sure to let you know when we have something to announce.”

Do you think a price fluctuation such as the one detailed above is fair? Or, do you think that mobile bill payers already pay too much in the UK/Europe and deserve a balancing up of costs in light of their investment so far?

Anthony Munns]]> 0